iMR CDT Research
Southampton: Cryogenic Magic Angle Spinning
Magic angle spinning NMR at cryogenic temperatures: We are one of the few laboratories in the world with the capability of obtaining high-resolution NMR spectra of materials in the cryogenic temperature regime (below 77 Kelvin). Hyperpolarized singlet NMR: We are using DNP techniques to enhance nuclear polarization by many orders of magnitude and are developing techniques which use long-lived nuclear singlet states to maintain that polarization for long times; application to magnetic resonance imaging (MRI) is under development. Computational spin dynamics: We have developed algorithms to simulate the behaviour of many coupled nuclei, and are using advanced computer algebra to visualise and analyze magnetic resonance experiments.
St Andrews: High-Power High-Field, Pulsed EPR
The vast majority of pulse EPR instrumentation in use today operates at 9.5 GHz at magnetic field strengths of 0.34 T. However there are substantial advantages in operating at higher frequencies and higher magnetic fields. The aim of the HIPER project at the Universities of St Andrews and Dundee was to construct a high field, low deadtime, pulse EPR spectrometer at 94 GHz operating at power levels several thousand times higher than equivalent commercial systems, with very high time resolution and instantaneous bandwidth and significantly increased concentration sensitivity. This required the development of advanced switches, isolators, antennas, fast pulse electronics and optics - many of which significantly advanced the state of the art. Today this system operates with state of the art performance and is primarily used in site-directed spin labelling and PELDOR studies for measuring long range distance and orientation distributions in large bimolecular systems. It is also used in conjunction with the the development of new Dynamic Nuclear Polarisation methodologies.
Nottingham: Dynamic Nuclear Polarization
== Materials data from another source follow ==
/*
The following is a PBE with a Hubbard U calculation of Li3Mn2CrO6 after structural relaxation, from the Materials Project.

Computed properties:
magnetic moment: 0.000 μB/atom
volume: 9.4 Å³ per atom
formation energy: -2.21 eV/atom

Cell lengths 3.043, 6.522, 12.089 Å; angles 75.84, 90.00, 103.49 degrees
Atoms (fractional coordinates):
O 0.841 0.681 0.544
Li 0.996 0.993 0.753
O 0.177 0.354 0.216
O 0.493 0.985 0.123
Mn 0.336 0.672 0.169
O 0.177 0.354 0.716
Li 0.667 0.333 0.083
Mn 0.336 0.672 0.669
Cr 0.667 0.333 0.333
Li 0.996 0.993 0.253
O 0.841 0.681 0.044
O 0.493 0.985 0.623
O 0.504 0.009 0.877
O 0.157 0.313 0.951
O 0.829 0.658 0.290
Mn 0.997 0.994 0.497
O 0.829 0.658 0.790
O 0.504 0.009 0.377
Li 0.667 0.333 0.583
Mn 0.997 0.994 0.997
O 0.157 0.313 0.451
Cr 0.667 0.333 0.833
Li 0.337 0.674 0.414
Li 0.337 0.674 0.914

----------

A plane-wave DFT calculation with PBE was carried out for a geometry-optimized K3AsF6 structure.

Unit cell a=6.7889 b=6.8014 c=6.8459 alpha=101.10 beta=100.36 gamma=105.56
Fractional coordinates of all 10 atoms:
K 0.0000 0.0000 0.0000
K 0.0000 0.5000 0.5000
K 0.5000 0.0000 0.5000
As 0.0000 0.0000 0.5000
F 0.0561 0.7797 0.2780
F 0.2111 0.9240 0.7125
F 0.2326 0.2231 0.4265
F 0.7674 0.7769 0.5735
F 0.7889 0.0760 0.2875
F 0.9439 0.2203 0.7220
*/
The research group led by Walter Köckenberger at the Sir Peter Mansfield Magnetic Resonance Centre of the University of Nottingham focuses on the use of various strategies to generate spin ensembles with very high spin polarisation. A topic of particular interest is the development of appropriate hardware to optimise the use of dynamics nuclear polarisation (DNP) in NMR spectroscopy and imaging. The group has designed and constructed a novel prototype spectrometer based on an unique dual centre magnet to combine low temperature DNP with liquid state NMR. Further hardware development currently aims at combining DNP with more sophisticated strategies for the implementation of fast temperature jumps such as laser induced melting. Another important focus of the group is the development of a theoretical framework to understand the complex spin dynamics of DNP experiments. In this project the group has made progress to simulate the spin dynamics of spin ensembles consisting of up to 104 coupled spins. Furthermore, the group has also an interest in parahydrogen induced polarisation and the use of optimal control theory to convert spin states into detectable magnetisation.
Aberdeen: Fast Field-Cycling MRI
In standard MRI the magnetic field is normally held absolutely stable, to avoid image artefacts. However, this means that an MR system can only make measurements of the sample's (or patient's) NMR relaxation times at a single magnetic field. We are developing new types of MRI system, called “Fast Field-Cycling MRI” or FFC-MRI, in which the magnetic field can be switched (or cycled) rapidly between different values during the collection of an image, always returning to a fixed value to read out the signals that are used for image reconstruction. In this way extremely valuable information can be obtained about the precise way in which the relaxation times change as a function of magnetic field strength. We have already shown that this “T1-dispersion” information can monitor the process of blood clot formation (thrombosis) and that it can detect changes in cartilage in human joints arising from osteoarthritis. Our current research is aimed at improving the efficiency of field-cycling MRI, exploring interactions that could bring still more image contrast, and investigating bio-medical applications of the methods.
Warwick: NMR, DNP and EPR
Our lab holds more than 12 spectrometers for EPR, NMR and DNP at magnetic fields up to 20 T. Our EPR research with diamond and silicon reveals the usefulness of these crystals for everything from water quality sensors to quantum computing. Solid-state NMR is a powerful tool for studying everything from batteries and fuel cells to pharmaceuticals. We apply this technique at high magnetic fields, and by simultaneously doing EPR also we can enhance the NMR sensitivity using dynamic nuclear polarization (DNP).
_Records of crystals, kept here for reference_
=====
No. 1
The following is a DFT calculation (PBE) of BaCaSmSbO6 after structural relaxation.

Properties
**Symmetry**: P222, No. 16
**Energy above the most stable polymorph in this dataset**: 0.0 meV per atom
**Energy of formation from the pure elements**: -3.01 eV per atom

a = 8.4499 Å, b = 8.4460 Å, c = 8.4720 Å
α = 90.00°, β = 90.00°, γ = 90.00°
Closest atoms and distances in Å follow each position.
Positions (direct):
O1 0.0149 0.7730 0.2815  1 Sb 2.01
O2 0.2727 0.0196 0.7816  1 Sb 2.03
O3 0.2114 0.5150 0.3066  1 Sb 2.01
O4 0.7914 0.7024 0.9824  1 Sb 2.04
O5 0.9851 0.2270 0.2815  1 Sb 2.01
O6 0.2086 0.2976 0.9824  1 Sb 2.04
O7 0.6975 0.2116 0.4821  1 Sb 2.04
O8 0.9851 0.7730 0.7185  1 Sb 2.01
O9 0.0149 0.2270 0.7185  1 Sb 2.01
O10 0.3025 0.7884 0.4821  1 Sb 2.04
O11 0.2086 0.7024 0.0176  1 Sb 2.04
O12 0.7273 0.9804 0.7816  1 Sb 2.03
O13 0.4807 0.7006 0.2045  1 Sb 2.03
O14 0.2727 0.9804 0.2184  1 Sb 2.03
O15 0.3025 0.2116 0.5179  1 Sb 2.04
O16 0.7886 0.4850 0.3066  1 Sb 2.01
O17 0.5193 0.2994 0.2045  1 Sb 2.03
O18 0.6975 0.7884 0.5179  1 Sb 2.04
O19 0.5193 0.7006 0.7955  1 Sb 2.03
O20 0.7273 0.0196 0.2184  1 Sb 2.03
O21 0.7886 0.5150 0.6934  1 Sb 2.01
O22 0.4807 0.2994 0.7955  1 Sb 2.03
O23 0.2114 0.4850 0.6934  1 Sb 2.01
O24 0.7914 0.2976 0.0176  1 Sb 2.04
Sb1 0.2491 0.2566 0.7484  6 O 2.01-2.04
Sb2 0.7509 0.2566 0.2516  6 O 2.01-2.04
Sb3 0.2491 0.7434 0.2516  6 O 2.01-2.04
Sb4 0.7509 0.7434 0.7484  6 O 2.01-2.04
Sm1 0.7483 0.7453 0.2510  6 O 2.27-2.34
Sm2 0.7483 0.2547 0.7490  6 O 2.27-2.34
Sm3 0.2517 0.7453 0.7490  6 O 2.27-2.34
Sm4 0.2517 0.2547 0.2510  6 O 2.27-2.34
Ba1 0.0000 0.0000 0.0000  12 O 2.96-3.07
Ba2 0.5000 0.0000 0.0000  4 O 2.67
Ba3 0.5000 0.5000 0.5000  12 O 2.94-3.03
Ba4 0.0000 0.0000 0.5000  4 O 2.67
Ca1 0.0000 0.5000 0.5000  4 O 2.43
Ca2 0.5000 0.5000 0.0000  4 O 2.43
Ca3 0.0000 0.5000 0.0000  4 O 2.46
Ca4 0.5000 0.0000 0.5000  4 O 2.45

***

No. 2
The following is a DFT calculation (PBE) of BaCaSmSbO6 after structural relaxation.

Properties
**Symmetry**: F-43m, No. 216
**Energy above the most stable polymorph in this dataset**: 73.5 meV per atom
**Energy of formation from the pure elements**: -2.94 eV per atom

a = 6.0318 Å, b = 6.0318 Å, c = 6.0318 Å
α = 60.00°, β = 60.00°, γ = 60.00°
Closest atoms and distances in Å follow each position.
Positions (direct):
O1 0.2344 0.7656 0.7656  1 Sb 2.00
O2 0.7656 0.2344 0.2344  1 Sb 2.00
O3 0.2344 0.7656 0.2344  1 Sb 2.00
O4 0.2344 0.2344 0.7656  1 Sb 2.00
O5 0.7656 0.2344 0.7656  1 Sb 2.00
O6 0.7656 0.7656 0.2344  1 Sb 2.00
Sb1 0.0000 0.0000 0.0000  6 O 2.00
Sm1 0.5000 0.5000 0.5000  6 O 2.27
Ba1 0.7500 0.7500 0.7500  12 O 3.02
Ca1 0.2500 0.2500 0.2500  12 O 3.02

***

No. 3
The following is a DFT calculation (PBE) of BaCaTbSbO6 after structural relaxation.

Properties
**Symmetry**: F-43m, No. 216
**Energy of formation from the pure elements**: -2.99 eV per atom

a = 5.9722 Å, b = 5.9722 Å, c = 5.9722 Å
α = 60.00°, β = 60.00°, γ = 60.00°
=====
Dundee: Materials Physics EMR
Our focus is electron magnetic resonance (EMR) applied to materials physics, but as part of our wider St Andrews-Dundee collaborative centre in magnetic resonance we are also active in supporting applications of EMR to biochemistry and medicine. Core strength is in single crystal electron paramagnetic resonance (EPR) studies, aimed and detailed understanding of technological relevant paramagnetic centres in materials, and more recently we have extended this expertise to pulsed electron nuclear double resonance (ENDOR) providing further direct information of the local environment. We have an established track record in applying these methods to the study of point defects, including impurity ion defects, in ferroelectric and ferroic oxides. These typically have a perovskite related structure, and there is increasing interest in the development of novel multifunctional electronic device perovskite oxide heterostructures. We also have interests in energy materials, in particular materials for photovoltaic technologies; these include organic semiconductors, silicon, and II-VI and related semiconductors. We have expertise in electrically detected magnetic resonance (EDMR), these measurements provide direct information on the paramagnetic centres participating in spin-dependent transport within materials and device structures. The method has great potential to only in providing unique characterisation of electrically active centres, but also as a technological route of probing spin states. We perform both continuous wave and pulsed EDMR. Advances in the application of EMR methods to materials physics is enabled by innovation in instrumentation and techniques. We are currently gaining a more complete understanding of EDMR instrumentation and techniques aimed at overcoming some of the practical difficulties often encountered in performing these experiments, for example amplifier configuration, suitability, and design. We are also interested in developing EMR techniques for probing interactions and correlations between local (polarisations), and external, electric fields and paramagnetic centres, and in collaboration with Graham Smith we have a core interest in advancing high frequency EMR instrumentation for the detailed materials and nanoscale device characterisation.